Roll The Dice and Have some Faith

(Attached: crystal structures)
--- one ---
K2SrPt: relaxed, PBE.

```
K2SrPt
1.0
8.255 0.022 -0.002
5.127 6.470 0.002
-6.133 -4.396 3.348
K Pt Sr
2 1 1
direct
0.992 0.992 0.000 K
0.338 0.838 0.500 K
0.516 0.516 0.000 Pt
0.654 0.154 0.500 Sr
```

Results
The symmetry is Imm2.

***

--- two ---
K2SrPt: relaxed, PBE.

```
K2SrPt
1.0
5.710 -0.001 0.000
0.021 5.710 0.000
-2.865 -2.855 4.030
K Pt Sr
2 1 1
direct
0.000 0.000 0.000 K
0.250 0.750 0.500 K
0.500 0.500 0.000 Pt
0.750 0.250 0.500 Sr
```

Results
The symmetry is I-4m2.

***

Name the least stable of them. two.

***

--- one ---
K2SrPt: relaxed, PBE.

```
K2SrPt
1.0
4.768 0.000 0.000
0.000 4.768 0.000
0.000 0.000 6.042
K Pt Sr
2 1 1
direct
0.000 0.000 0.000 K
0.500 0.500 0.000 K
0.500 0.000 0.500 Pt
0.000 0.500 0.500 Sr
```

Results
The symmetry is P4/mmm.

***

--- two ---
K2SrPt: relaxed, PBE.

```
K2SrPt
1.0
4.519 -0.002 0.062
2.255 3.916 0.062
2.116 1.223 11.199
K Pt Sr
2 1 1
direct
0.992 0.992 0.016 K
0.783 0.783 0.652 K
0.508 0.508 0.478 Pt
0.216 0.216 0.354 Sr
```

Results
The symmetry is Cm.

***

Name the least stable of them. one.


No. 1
Entry from Alexandria via LeMat-Bulk: an optimized crystal structure of Te2MoCl (PBE-GGA).

Values from the calculation:
total moment = 0.89 μB/atom
Fermi-level density of states = 3.03 states/eV/cell
symmetry = Pmmm (47)
total energy = -4.083 eV per atom
raw formation energy = 0.657 eV per atom
offset from the most stable computed form = 0.823 eV/atom

The structure in extended XYZ format:
```
4
Lattice="4.291 0.000 0.000 0.000 4.318 0.000 0.000 0.000 5.420" Properties=species:S:1:pos:R:3 pbc="T T T"
Cl 2.146 0.000 2.710
Mo 0.000 2.159 2.710
Te 0.000 0.000 0.000
Te 2.146 2.159 0.000
```

No. 2
Entry from Alexandria via LeMat-Bulk: an optimized crystal structure of K2BaFe (PBE-GGA).

Values from the calculation:
total moment = 0.67 μB/atom
Fermi-level density of states = 3.68 states/eV/cell
symmetry = Pmmm (47)
total energy = -2.303 eV per atom
offset from the most stable computed form = 0.243 eV/atom

The structure in extended XYZ format:
```
4
Lattice="4.341 0.000 0.000 0.000 5.765 0.000 0.000 0.000 7.519" Properties=species:S:1:pos:R:3 pbc="T T T"
Ba 2.171 2.882 1.880
Fe 2.171 2.882 5.639
K 0.000 0.000 7.257
K 0.000 0.000 4.021
```

Q: Which of these has the highest total energy?
A: K2BaFe

What did the second record say?
Entry from Alexandria via LeMat-Bulk: an optimized crystal structure of K2BaFe (PBE-GGA).

Values from the calculation:
total moment = 0.67 μB/atom
Fermi-level density of states = 3.68 states/eV/cell
symmetry = Pmmm (47)
total energy = -2.303 eV per atom
offset from the most stable computed form = 0.243 eV/atom

The structure in extended XYZ format:
```
4
Lattice="4.341 0.000 0.000 0.000 5.765 0.000 0.000 0.000 7.519" Properties=species:S:1:pos:R:3 pbc="T T T"
Ba 2.171 2.882 1.880
Fe 2.171 2.882 5.639
K 0.000 0.000 7.257
K 0.000 0.000 4.021
```


# Ba2YMn, relaxed, DFT PBE
data_Ba2YMn
_space_group_name_H-M_alt 'F m -3 m'
_space_group_IT_number 225

Thursday, July 7, 2011

• What comes next are records of crystals, not part of the page:
-- begin --
1.
DFT (PBE) results for crystalline CrSb2Au at its relaxed geometry.

Geometry as extended XYZ:
```
4
Lattice="-3.617 3.897 -0.311 -4.456 -1.898 2.215 4.979 0.102 1.887" Properties=species:S:1:pos:R:3 pbc="T T T"
Au -1.757 -0.398 2.527
Sb -4.036 0.999 0.952
Sb 0.000 0.000 0.000
Cr -1.337 2.499 1.264
```

The total magnetization comes out at 3.73 Bohr magnetons per cell. The total DFT energy (no corrections) is -5.0016 eV per atom.

2.
DFT (PBE) results for crystalline MoIrAu2 at its relaxed geometry.

Geometry as extended XYZ:
```
4
Lattice="0.000 3.203 3.203 3.203 0.000 3.203 3.203 3.203 0.000" Properties=species:S:1:pos:R:3 pbc="T T T"
Au 4.805 4.805 4.805
Au 1.602 1.602 1.602
Ir 3.203 3.203 3.203
Mo 0.000 0.000 0.000
```

The total magnetization comes out at 0.00 Bohr magnetons per cell. The total DFT energy (no corrections) is -6.1180 eV per atom. The value obtained for the energy above the most stable polymorph in this dataset is 431.9 meV/atom.

=====

[1]
Pr5Bi2Sb2: optimized geometry, GGA-PBE.

Output
magnetization	0.00	μB/cell
polymorph energy (0 for the lowest one)	0.0000	eV per atom

Cell and atoms, written as CIF:
```
data_Pr5Bi2Sb2
_chemical_formula_sum 'Pr20 Bi8 Sb8'
_symmetry_space_group_name_H-M 'C m c e'
_symmetry_Int_Tables_number 64
_symmetry_space_group_name_Hall '-C 2ac 2'
_cell_length_a 16.217
_cell_length_b 8.495
_cell_length_c 8.559
_cell_angle_alpha 90.00
_cell_angle_beta 90.00
_cell_angle_gamma 90.00
loop_
_atom_site_label
_atom_site_type_symbol
_atom_site_fract_x
_atom_site_fract_y
_atom_site_fract_z
Pr1 Pr 0.000 0.000 0.000
Pr2 Pr 0.133 0.162 0.339
Bi1 Bi 0.202 0.000 0.000
Sb1 Sb 0.000 0.140 0.640
```

[2]
Pr4BiSb3: optimized geometry, GGA-PBE.

Output
magnetization	0.00	μB/cell
raw total energy	-5.558	eV/atom

Cell and atoms, written as CIF:
```
data_Pr4BiSb3
_chemical_formula_sum 'Pr4 Bi1 Sb3'
_symmetry_space_group_name_H-M 'P m -3 m'
_symmetry_Int_Tables_number 221
_symmetry_space_group_name_Hall '-P 4 2 3'
_cell_length_a 6.471
_cell_length_b 6.471
_cell_length_c 6.471
_cell_angle_alpha 90.00
_cell_angle_beta 90.00
_cell_angle_gamma 90.00
loop_
_atom_site_label
_atom_site_type_symbol
_atom_site_fract_x
_atom_site_fract_y
_atom_site_fract_z
Pr1 Pr 0.000 0.000 0.000
Pr2 Pr 0.000 0.500 0.500
Bi1 Bi 0.500 0.500 0.500
Sb1 Sb 0.000 0.000 0.500
```

[3]
Pr6Bi5Sb: optimized geometry, GGA-PBE.

Output
magnetization	0.00	μB/cell
raw total energy	-5.349	eV/atom

Cell and atoms, written as CIF:
```
data_Pr6Bi5Sb
_chemical_formula_sum 'Pr12 Bi10 Sb2'
_symmetry_space_group_name_H-M 'C 1 2/m 1'
_symmetry_Int_Tables_number 12
_symmetry_space_group_name_Hall '-C 2y'
_cell_length_a 8.016
_cell_length_b 13.881
_cell_length_c 8.015
_cell_angle_alpha 90.00
_cell_angle_beta 109.45
_cell_angle_gamma 90.00
loop_
_atom_site_label
_atom_site_type_symbol
_atom_site_fract_x
_atom_site_fract_y
_atom_site_fract_z
Pr1 Pr 0.247 0.000 0.251
Pr2 Pr 0.247 0.165 0.748
Bi1 Bi 0.000 0.168 0.000
Bi2 Bi 0.000 0.334 0.500
Bi3 Bi 0.000 0.500 0.000
-- stop --

{Post for Preston}

I would like to take the time to dedicate this post to my great friend and ex-boyfriend Preston J. Suter. He was killed on Tuesday July 5, 2011 in Afghanistan in a roadside bombing. He was a proud member of the Army and had the MOS of Military Police. Preston and I met back in sophomore year of high school and we instantly hit it off as friends. He laughed at all of my jokes and was just as smart alec as I was. He played basketball for Alta all three years and was such a huge basketball fan. He especially loved the Lakers (BOOO)! He was such a people person, always quick to introduce himself and make people feel comfortable. I am so proud of all that he has accomplished and I am truly sorry for all of the other people including family and friends as well as his wife whom have lost an amazing guy. He may be physically gone, but his spirit lives on with us here. All of us have a guardian angel now!

I thought in honor of the 22 years that he lived his life to the fullest I would list 22 memories about the Preston that I know and remember:

22. Preston loved to joke with people, he was constantly being a goof ball and just laughing.
21. Preston was stationed in Hoenfels, Germany.
20. As mentioned before, he was a huge Lakers fan. We would always get in a fight about who was better Jazz or Lakers... Half the time he won.
19. He loved La Frontera's Smothered Burrito with Cheese. We always loved making frequent visits there.
18. Our first date was the Mr. and Mrs. Smith movie at Jordan Commons. I remember thinking how good Preston smelled that day!
17. He went to Snow College for two semesters (about) and I remember visiting him and having a fun time with him and his roommates.
16. One time, on his birthday, we followed Derek Fischer around Fashion Place for 2 hours. He had this weird obsession with him. lol
15. One time we drove around for 2 hours just trying to find Sugarhouse Park to watch fireworks, needless to say we gave up and watched them at some other park in Sandy. (He wasn't that great at directions ;-))
14. I remember always looking forward to the days he got a pass at Basic Training, it was the best surprise to get a call when I was walking through wal mart or sitting in a class.
13. Most people called him P, but we decided to give each other nicknames, I was K-Sizzle and he was P-Dawg. But most of the time I called him PJ.
12. For my birthday one year he gave me the movie Chicago, which is also the movie that we watched one night hanging out, where we both admitted how much we loved it.
11. He bought an ipod when he was at Basic and had it sent to my house so that I could download all my music to it. In the end he ended up deleting all my music because he thought my music wasnt "cool enough".
10. He loved rap music, I remember getting into his old car plenty of times and having the music loud and the bass turned up.
9. We went to Summer Jam back in 2007, right after graduation, and instead of staying for the music we used as a complete people watching experience. We laughed about it for hours.
8. He sent me this hat when he was in basic:
7. Preston always talked about how excited he was to be a father, although it didn't happen and probably wasn't going to happen anytime soon, he would have been a great father. He loved kids a lot.
6. There were nights when he lived in Germany where we would skype until we both fell asleep (It usually worked out the best when he had worked a grave yard shift)
5. I remember when he came home in February and he had told me he was going to marry Nicole and he wanted me to meet her. I got so excited because I was happy that he had finally found someone that he could give all of his love to.
4. He loved the Army (most days), he talked about how he wanted to excel and move up in the army.
3. The day he became a specialist he was so happy, he earned it and deserved everything that he was given for it.
2. He was always good about making me smile, he knew when I was having a down day and could turn it around, but in a logical way. It was a great trait of his.

********
(1)
Below is an optimized crystal structure of Li2AgIrC, with properties calculated at the PBE level.

a = 4.157 Å, b = 4.157 Å, c = 3.871 Å
α = 90.00°, β = 90.00°, γ = 90.00°
Fractional positions:
Li1 0.000 0.500 0.000
Li2 0.500 0.000 0.000
Ag1 0.000 0.000 0.500
Ir1 0.500 0.500 0.500
C1 0.500 0.500 0.000

Output
* final energy: -4.951 eV/atom
* crystal system: tetragonal
* symmetry: No. 123
* D(E_F): 0.372 states/eV/atom

=====

(2)
Below is an optimized crystal structure of Mg2AgIrC, with properties calculated at the PBE level.

a = 4.992 Å, b = 4.992 Å, c = 3.796 Å
α = 90.00°, β = 90.00°, γ = 90.00°
Fractional positions:
Mg1 0.000 0.500 0.000
Mg2 0.500 0.000 0.000
Ag1 0.000 0.000 0.000
Ir1 0.500 0.500 0.500
C1 0.000 0.000 0.500

Output
* final energy: -3.451 eV/atom
* crystal system: tetragonal
* symmetry: No. 123
* D(E_F): 0.727 states/eV/atom

=====

(3)
Below is an optimized crystal structure of Mg2AgIrC, with properties calculated at the PBE level.

a = 4.505 Å, b = 4.505 Å, c = 3.871 Å
α = 90.00°, β = 90.00°, γ = 90.00°
Fractional positions:
Mg1 0.000 0.500 0.000
Mg2 0.500 0.000 0.000
Ag1 0.000 0.000 0.500
Ir1 0.500 0.500 0.500
C1 0.500 0.500 0.000

Output
* final energy: -4.850 eV/atom
* crystal system: tetragonal
* symmetry: No. 123
* D(E_F): 0.489 states/eV/atom

=====

(4)
Below is an optimized crystal structure of Ag2IrCN, with properties calculated at the PBE level.

a = 5.243 Å, b = 5.243 Å, c = 3.630 Å
α = 90.00°, β = 90.00°, γ = 90.00°
Fractional positions:
Ag1 0.000 0.500 0.000
Ag2 0.500 0.000 0.000
Ir1 0.000 0.000 0.000
C1 0.500 0.500 0.500
N1 0.000 0.000 0.500

Output
* final energy: -4.560 eV/atom
* crystal system: tetragonal
* symmetry: No. 123
* D(E_F): 0.509 states/eV/atom
* uncorrected formation energy: 1.86 eV/atom

=====

(5)
Below is an optimized crystal structure of Nd2AgIrC, with properties calculated at the PBE level.

a = 5.276 Å, b = 5.276 Å, c = 3.882 Å
α = 90.00°, β = 90.00°, γ = 90.00°
Fractional positions:
Nd1 0.000 0.500 0.000
Nd2 0.500 0.000 0.000
Ag1 0.000 0.000 0.500
Ir1 0.500 0.500 0.500
C1 0.500 0.500 0.000

Output
* final energy: -6.517 eV/atom
* crystal system: tetragonal
* symmetry: No. 123
* D(E_F): 0.435 states/eV/atom

=====

(6)
Below is an optimized crystal structure of NiAgIrC2, with properties calculated at the PBE level.

a = 3.698 Å, b = 3.698 Å, c = 5.067 Å
α = 90.00°, β = 90.00°, γ = 90.00°
Fractional positions:
Ni1 0.000 0.000 0.000
Ag1 0.500 0.500 0.500
Ir1 0.000 0.000 0.500
C1 0.000 0.500 0.000
C2 0.500 0.000 0.000

Output
* final energy: -5.180 eV/atom
* crystal system: tetragonal
* symmetry: No. 123
* D(E_F): 0.876 states/eV/atom

=====

(7)
Below is an optimized crystal structure of AgIrPdC2, with properties calculated at the PBE level.

a = 3.891 Å, b = 3.891 Å, c = 5.343 Å
α = 90.00°, β = 90.00°, γ = 90.00°
Fractional positions:
Ag1 0.000 0.000 0.000
Ir1 0.000 0.000 0.500
Pd1 0.500 0.500 0.000
C1 0.000 0.500 0.500
C2 0.500 0.000 0.500

Output
* final energy: -5.695 eV/atom
********

It is hard to think that I spoke to him last week and now it will never happen again. I will miss you PJ and the way you made me laugh. One day we will all join you up there.

My condolences go out to his wife Nicole, his dad Chris, and his mom Dixie. He loved you all so very much!

Love you P-Dawg!